Listing
********
Record 1
DFT (GGA-PBEsol) results for ZnP2PbO7 after structural relaxation.

Properties
The density of states at the Fermi level is 0.0 states/eV per cell. The value obtained for the calculated density is 5.23 g/cm³. For the uncorrected formation energy, the calculation gives -193 kJ/mol of atoms. The space group is P2_1/c (14).

Geometry as CIF:
```
data_ZnP2PbO7
_chemical_formula_sum 'Zn4 P8 Pb4 O28'
_symmetry_space_group_name_H-M 'P 1'
_symmetry_Int_Tables_number 1
_cell_length_a 5.327
_cell_length_b 8.280
_cell_length_c 13.901
_cell_angle_alpha 90.00
_cell_angle_beta 112.27
_cell_angle_gamma 90.00
loop_
_symmetry_equiv_pos_as_xyz
'x,y,z'
loop_
_atom_site_label
_atom_site_type_symbol
_atom_site_fract_x
_atom_site_fract_y
_atom_site_fract_z
Zn1 Zn 0.226 0.150 0.395
Zn2 Zn 0.226 0.350 0.895
Zn3 Zn 0.774 0.650 0.105
Zn4 Zn 0.774 0.850 0.605
P1 P 0.082 0.535 0.335
P2 P 0.082 0.965 0.835
P3 P 0.159 0.699 0.981
P4 P 0.159 0.801 0.481
P5 P 0.841 0.199 0.519
P6 P 0.841 0.301 0.019
P7 P 0.918 0.035 0.165
P8 P 0.918 0.465 0.665
Pb1 Pb 0.484 0.672 0.779
Pb2 Pb 0.484 0.828 0.279
Pb3 Pb 0.516 0.172 0.721
Pb4 Pb 0.516 0.328 0.221
O1 O 0.019 0.142 0.847
O2 O 0.019 0.358 0.347
O3 O 0.125 0.166 0.521
O4 O 0.125 0.334 0.021
O5 O 0.166 0.613 0.448
O6 O 0.166 0.887 0.948
O7 O 0.178 0.119 0.238
O8 O 0.178 0.381 0.738
O9 O 0.218 0.598 0.899
O10 O 0.218 0.902 0.399
O11 O 0.319 0.559 0.300
O12 O 0.319 0.941 0.800
O13 O 0.388 0.688 0.088
O14 O 0.388 0.812 0.588
O15 O 0.612 0.188 0.412
O16 O 0.612 0.312 0.912
O17 O 0.681 0.059 0.200
O18 O 0.681 0.441 0.700
O19 O 0.782 0.098 0.601
O20 O 0.782 0.402 0.101
O21 O 0.822 0.619 0.262
O22 O 0.822 0.881 0.762
O23 O 0.834 0.113 0.052
O24 O 0.834 0.387 0.552
O25 O 0.875 0.666 0.979
O26 O 0.875 0.834 0.479
O27 O 0.981 0.642 0.653
O28 O 0.981 0.858 0.153
```


Record 2
DFT (GGA-PBEsol) results for Hf2Si2Ni after structural relaxation.

Properties
The density of states at the Fermi level is 3.6 states/eV per cell. The value obtained for the calculated density is 10.25 g/cm³. For the uncorrected formation energy, the calculation gives -81 kJ/mol of atoms. The space group is P4/mbm (127).

Geometry as CIF:
```
data_Hf2Si2Ni
_chemical_formula_sum 'Hf4 Si4 Ni2'
_symmetry_space_group_name_H-M 'P 1'
_symmetry_Int_Tables_number 1
_cell_length_a 6.142
_cell_length_b 6.142
_cell_length_c 4.054
_cell_angle_alpha 90.00
_cell_angle_beta 90.00
_cell_angle_gamma 90.00
loop_
_symmetry_equiv_pos_as_xyz
'x,y,z'
loop_
_atom_site_label
_atom_site_type_symbol
_atom_site_fract_x
_atom_site_fract_y
_atom_site_fract_z
Hf1 Hf 0.171 0.329 0.000
Hf2 Hf 0.329 0.829 0.000
Hf3 Hf 0.671 0.171 0.000
Hf4 Hf 0.829 0.671 0.000
Si1 Si 0.135 0.635 0.500
Si2 Si 0.365 0.135 0.500
Si3 Si 0.635 0.865 0.500
Si4 Si 0.865 0.365 0.500
Ni1 Ni 0.000 0.000 0.500
Ni2 Ni 0.500 0.500 0.500
```


Record 3
DFT (GGA-PBEsol) results for CsBS3O11 after structural relaxation.

Properties
The density of states at the Fermi level is 0.0 states/eV per cell. The value obtained for the calculated density is 2.80 g/cm³. For the uncorrected formation energy, the calculation gives -153 kJ/mol of atoms. The space group is P2_1/c (14).

Geometry as CIF:
```
data_CsBS3O11
_chemical_formula_sum 'Cs4 B4 S12 O44'
_symmetry_space_group_name_H-M 'P 1'
_symmetry_Int_Tables_number 1
_cell_length_a 10.470
_cell_length_b 11.634
_cell_length_c 8.309
_cell_angle_alpha 90.00
_cell_angle_beta 103.29
_cell_angle_gamma 90.00
loop_
_symmetry_equiv_pos_as_xyz
'x,y,z'
loop_
_atom_site_label
_atom_site_type_symbol
_atom_site_fract_x
_atom_site_fract_y
_atom_site_fract_z
Cs1 Cs 0.242 0.135 0.063
Cs2 Cs 0.242 0.365 0.563
Cs3 Cs 0.758 0.635 0.437
Cs4 Cs 0.758 0.865 0.937
B1 B 0.324 0.720 0.934
B2 B 0.324 0.780 0.434
B3 B 0.676 0.220 0.566
B4 B 0.676 0.280 0.066
S1 S 0.075 0.653 0.797
S2 S 0.075 0.847 0.297
S3 S 0.238 0.521 0.053
S4 S 0.238 0.979 0.553
S5 S 0.455 0.660 0.700
S6 S 0.455 0.840 0.200
S7 S 0.545 0.160 0.800
S8 S 0.545 0.340 0.300
S9 S 0.762 0.021 0.447
S10 S 0.762 0.479 0.947
********
To do
Return the data above verbatim.
Written answer
Record 1
DFT (GGA-PBEsol) results for ZnP2PbO7 after structural relaxation.

Properties
The density of states at the Fermi level is 0.0 states/eV per cell. The value obtained for the calculated density is 5.23 g/cm³. For the uncorrected formation energy, the calculation gives -193 kJ/mol of atoms. The space group is P2_1/c (14).

Geometry as CIF:
```
data_ZnP2PbO7
_chemical_formula_sum 'Zn4 P8 Pb4 O28'
_symmetry_space_group_name_H-M 'P 1'
_symmetry_Int_Tables_number 1
_cell_length_a 5.327
_cell_length_b 8.280
_cell_length_c 13.901
_cell_angle_alpha 90.00
_cell_angle_beta 112.27
_cell_angle_gamma 90.00
loop_
_symmetry_equiv_pos_as_xyz
'x,y,z'
loop_
_atom_site_label
_atom_site_type_symbol
_atom_site_fract_x
_atom_site_fract_y
_atom_site_fract_z
Zn1 Zn 0.226 0.150 0.395
Zn2 Zn 0.226 0.350 0.895
Zn3 Zn 0.774 0.650 0.105
Zn4 Zn 0.774 0.850 0.605
P1 P 0.082 0.535 0.335
P2 P 0.082 0.965 0.835
P3 P 0.159 0.699 0.981
P4 P 0.159 0.801 0.481
P5 P 0.841 0.199 0.519
P6 P 0.841 0.301 0.019
P7 P 0.918 0.035 0.165
P8 P 0.918 0.465 0.665
Pb1 Pb 0.484 0.672 0.779
Pb2 Pb 0.484 0.828 0.279
Pb3 Pb 0.516 0.172 0.721
Pb4 Pb 0.516 0.328 0.221
O1 O 0.019 0.142 0.847
O2 O 0.019 0.358 0.347
O3 O 0.125 0.166 0.521
O4 O 0.125 0.334 0.021
O5 O 0.166 0.613 0.448
O6 O 0.166 0.887 0.948
O7 O 0.178 0.119 0.238
O8 O 0.178 0.381 0.738
O9 O 0.218 0.598 0.899
O10 O 0.218 0.902 0.399
O11 O 0.319 0.559 0.300
O12 O 0.319 0.941 0.800
O13 O 0.388 0.688 0.088
O14 O 0.388 0.812 0.588
O15 O 0.612 0.188 0.412
O16 O 0.612 0.312 0.912
O17 O 0.681 0.059 0.200
O18 O 0.681 0.441 0.700
O19 O 0.782 0.098 0.601
O20 O 0.782 0.402 0.101
O21 O 0.822 0.619 0.262
O22 O 0.822 0.881 0.762
O23 O 0.834 0.113 0.052
O24 O 0.834 0.387 0.552
O25 O 0.875 0.666 0.979
O26 O 0.875 0.834 0.479
O27 O 0.981 0.642 0.653
O28 O 0.981 0.858 0.153
```


Record 2
DFT (GGA-PBEsol) results for Hf2Si2Ni after structural relaxation.

Properties
The density of states at the Fermi level is 3.6 states/eV per cell. The value obtained for the calculated density is 10.25 g/cm³. For the uncorrected formation energy, the calculation gives -81 kJ/mol of atoms. The space group is P4/mbm (127).

Geometry as CIF:
```
data_Hf2Si2Ni
_chemical_formula_sum 'Hf4 Si4 Ni2'
_symmetry_space_group_name_H-M 'P 1'
_symmetry_Int_Tables_number 1
_cell_length_a 6.142
_cell_length_b 6.142
_cell_length_c 4.054
_cell_angle_alpha 90.00
_cell_angle_beta 90.00
_cell_angle_gamma 90.00
loop_
_symmetry_equiv_pos_as_xyz
'x,y,z'
loop_
_atom_site_label
_atom_site_type_symbol
_atom_site_fract_x
_atom_site_fract_y
_atom_site_fract_z
Hf1 Hf 0.171 0.329 0.000
Hf2 Hf 0.329 0.829 0.000
Hf3 Hf 0.671 0.171 0.000
Hf4 Hf 0.829 0.671 0.000
Si1 Si 0.135 0.635 0.500
Si2 Si 0.365 0.135 0.500
Si3 Si 0.635 0.865 0.500
Si4 Si 0.865 0.365 0.500
Ni1 Ni 0.000 0.000 0.500
Ni2 Ni 0.500 0.500 0.500
```


Record 3
DFT (GGA-PBEsol) results for CsBS3O11 after structural relaxation.

Properties
The density of states at the Fermi level is 0.0 states/eV per cell. The value obtained for the calculated density is 2.80 g/cm³. For the uncorrected formation energy, the calculation gives -153 kJ/mol of atoms. The space group is P2_1/c (14).

Geometry as CIF:
```
data_CsBS3O11
_chemical_formula_sum 'Cs4 B4 S12 O44'
_symmetry_space_group_name_H-M 'P 1'
_symmetry_Int_Tables_number 1
_cell_length_a 10.470
_cell_length_b 11.634
_cell_length_c 8.309
_cell_angle_alpha 90.00
_cell_angle_beta 103.29
_cell_angle_gamma 90.00
loop_
_symmetry_equiv_pos_as_xyz
'x,y,z'
loop_
_atom_site_label
_atom_site_type_symbol
_atom_site_fract_x
_atom_site_fract_y
_atom_site_fract_z
Cs1 Cs 0.242 0.135 0.063
Cs2 Cs 0.242 0.365 0.563
Cs3 Cs 0.758 0.635 0.437
Cs4 Cs 0.758 0.865 0.937
B1 B 0.324 0.720 0.934
B2 B 0.324 0.780 0.434
B3 B 0.676 0.220 0.566
B4 B 0.676 0.280 0.066
S1 S 0.075 0.653 0.797
S2 S 0.075 0.847 0.297
S3 S 0.238 0.521 0.053
S4 S 0.238 0.979 0.553
S5 S 0.455 0.660 0.700
S6 S 0.455 0.840 0.200
S7 S 0.545 0.160 0.800
S8 S 0.545 0.340 0.300
S9 S 0.762 0.021 0.447
S10 S 0.762 0.479 0.947